Istanbul Woes
distance: 93.55km
duration: 12h 16min
"Where did i put the damn tyre levers?" - I had checked both front panniers, which are more "accessible" than the back pannier, the one bag where i've stashed my tools, spare parts, electronics and maps - stuff that i rarely take out, so this is the bag that remains mostly untouched but is the fullest and heaviest.
I have two sets of tyre levers and i knew i had put one set in the front pannier to have it easily available in an emergency case like this, but now i can't find it.
The second set is at the bottom of the aforementioned rear pannier and i want to avoid putting out it's delicate content(Books, electronics) and dig deep into the bottom of this bag just to get this stupid tool.
The day before i had thought to myself: "Wow, i rode nearly 2500km and i didn't have a single puncture - and i don't even have puncture proof tyres!" Oh, the irony!
I'm on the D010/D020, the not so heavily trafficked 2-lane-street i've been following since Kırklareli has turned into a refurbished and widened 4-lane motorway and now feels just like any "Autobahn" in german speaking countries.
• Between two parts of the text: data records:
'''
Below is a geometry-optimized Na3Ac2NiO6 structure, with properties calculated at the PBE+U level.

Results
Energy   -67.533 eV per cell
Total magnetic moment   3.1 μB/f.u.

Cell and atoms, written as POSCAR:
```
Na3Ac2NiO6
1.0
6.231 -0.088 0.063
-3.190 5.353 0.063
-0.953 -1.650 5.631
Ni O Na Ac
1 6 3 2
Direct
0.000 0.000 0.000 Ni
0.940 0.661 0.791 O
0.060 0.339 0.209 O
0.745 0.745 0.218 O
0.661 0.940 0.791 O
0.339 0.060 0.209 O
0.255 0.255 0.782 O
0.873 0.127 0.500 Na
0.127 0.873 0.500 Na
0.500 0.500 0.500 Na
0.333 0.667 0.000 Ac
0.667 0.333 0.000 Ac
```

=====

Cu2Se: relaxed, PBE-GGA.

Cell and atoms, written as extended XYZ:
```
9
Lattice="3.267 -5.658 0.000 3.267 5.658 0.000 0.000 0.000 3.797" Properties=species:S:1:pos:R:3 pbc="T T T"
Cu 0.863 1.496 0.000
Cu 2.012 3.485 1.898
Cu 2.012 -3.485 1.898
Cu 4.807 0.000 0.000
Cu 2.510 0.000 1.898
Cu 0.863 -1.496 0.000
Se 0.000 0.000 1.898
Se 3.267 -1.886 0.000
Se 3.267 1.886 0.000
```

Summary:
- ΔE_f (raw) (meV/atom) = 90
- space-group type = No. 189
- E_tot (eV per atom) = -3.802

=====

Material: Mg5Cd6In
Method: DFT, PBE
State: relaxed

Summary:
Its density of states at the Fermi level is 3.284 states/eV/f.u. For the energy above the lowest structure with this stoichiometry, the calculation gives 0.07 kcal/mol of atoms. The formation energy comes out at -0.078 eV per atom.

```
data_Mg5Cd6In
_cell_length_a 8.331
_cell_length_b 8.331
_cell_length_c 4.554
_cell_angle_alpha 104.53
_cell_angle_beta 104.53
_cell_angle_gamma 61.72
_symmetry_space_group_name_H-M 'P 1'
_symmetry_Int_Tables_number 1
loop_
_symmetry_equiv_pos_as_xyz
'x,y,z'
'''
• The data records stop here:
15 Minutes ago my back tyre has exploded. I've unloaded the bike, removed the back wheel, inspected it and found that the tyre had been riped open close to the rim, which in effect had caused the tube to grind against it and eventually it exploded due to the high pressure(The tube-leakage was sudden, but the tyre-rip was caused by wear over the 2300km i've used it with heavy load). Usually, such a failure wouldn't be a big drama as i carry all the spare parts, including a foldable spare tyre, and replacing it would not take more than an hour.
The article is interrupted by records of crystals.
Record 1
Density functional theory data (PBE) for an optimized crystal structure of Mg2CrAs.

Output
The calculation puts the size of the total moment at 0.886 μB/atom. The formation energy is 6 kJ/mol of formula units. Its total energy is -4.35 eV/atom. For the density of states at the Fermi level, the calculation gives 0.454 states/eV/atom.

a b c (Å): 3.601 3.994 5.941
angles (deg): 70.37 90.00 90.00
Each line ends with the local moment (μB).
Element x y z (fractional)
Mg: 0.000 0.953 0.967  -0.02
As: 0.000 0.706 0.465  -0.07
Mg: 0.500 0.284 0.309  0.01
Cr: 0.500 0.557 0.759  3.26

---

Record 2
Density functional theory data (PBE) for an optimized crystal structure of MgCr2As2.

Output
The calculation puts the size of the total moment at 0.841 μB/atom. The formation energy is -13 kJ/mol of formula units. Its total energy is -6.05 eV/atom. For the density of states at the Fermi level, the calculation gives 0.421 states/eV/atom.

a b c (Å): 7.098 7.098 3.139
angles (deg): 90.00 90.00 90.00
Each line ends with the local moment (μB).
Element x y z (fractional)
As: 0.349 0.849 0.000  -0.12
As: 0.651 0.151 0.000  -0.12
Cr: 0.863 0.363 0.500  2.18
Mg: 0.000 0.000 0.000  -0.03
Cr: 0.637 0.863 0.500  2.16
As: 0.151 0.349 0.000  -0.12
Mg: 0.500 0.500 0.000  -0.03
Cr: 0.363 0.137 0.500  2.16
As: 0.849 0.651 0.000  -0.12
Cr: 0.137 0.637 0.500  2.18

---

Record 3
Density functional theory data (PBE) for an optimized crystal structure of MgCr2As.

Output
The calculation puts the size of the total moment at 0.465 μB/atom. The formation energy is 133 kJ/mol of formula units. Its total energy is -6.03 eV/atom. For the density of states at the Fermi level, the calculation gives 0.985 states/eV/atom.

a b c (Å): 4.279 2.858 4.814
angles (deg): 84.92 90.00 90.00
Each line ends with the local moment (μB).
Element x y z (fractional)
As: 0.500 0.750 0.750  -0.03
Mg: 0.500 0.250 0.250  -0.01
Cr: 0.000 0.891 0.017  0.91
Cr: 0.000 0.609 0.483  0.91

---

Record 4
Density functional theory data (PBE) for an optimized crystal structure of Mg2CrAs.

Output
The calculation puts the size of the total moment at 0.925 μB/atom. The formation energy is 40 kJ/mol of formula units. Its total energy is -4.26 eV/atom. For the density of states at the Fermi level, the calculation gives 0.319 states/eV/atom.

a b c (Å): 5.136 5.136 3.052
angles (deg): 90.00 90.00 112.68
Each line ends with the local moment (μB).
Element x y z (fractional)
As: 0.500 0.000 0.500  -0.01
Cr: 0.000 0.500 0.500  3.40
Mg: 0.500 0.500 0.000  -0.02
Mg: 0.000 0.000 0.000  -0.02

---

Record 5
Density functional theory data (PBE) for an optimized crystal structure of Mg2CrAs.

Output
The calculation puts the size of the total moment at 1.027 μB/atom. The formation energy is -5 kJ/mol of formula units. Its total energy is -4.38 eV/atom. For the density of states at the Fermi level, the calculation gives 0.348 states/eV/atom.

a b c (Å): 4.219 4.219 4.091
angles (deg): 90.00 90.00 90.00
However, i was in an very uncomfortable and exposed location on the thin breakdown lane of a motorway, with big quarry trucks rushing by every 20 seconds, it had been raining cats and dogs throughout the afternoon, i was soaking wet and eventually started to feel cold, it had just started to get dark, the bike was covered with wet sand from a stretch of muddy road where the D020 was still a building site and i was looking for that pathetic plastic-tool to finalize putting up the replacement tyre and tube. When i just started to dig out the contents of the back pannier to get the tyre levers, a big top-loader truck slowed down and reversed back to my position.
The driver jumped out, blurted some turkish i didn't understand and made clear that he was going to pick me up by opening the hatches of the loading platform. I hesitated for a second due to my dogma of "doing it all alone on my bike" but i was feeling miserable enough to tell myself "just f that" and we put bags, bike and wheel on the back of the truck.
• Crystal structures from another source follow:
Here is a relaxed structure of UMn2TcO8 from the Alexandria database. Energies are from PBE+U.

Calculated values
* spin magnetization: 17.99 Bohr magnetons per cell
* raw total energy: -8.415 eV/atom

Cell: 6.7108 6.9068 6.4695 Å, 90.00 90.00 90.00°
Space group Cmmm (No. 65)
Inequivalent atoms, fractional coordinates:
1 U 0.0000 0.0000 0.0000 x2
2 Mn 0.0000 0.5000 0.2587 x4
3 Tc 0.0000 0.0000 0.5000 x2
4 O 0.0000 0.1912 0.2649 x8
5 O 0.2038 0.5000 0.0000 x4
6 O 0.2247 0.5000 0.5000 x4

* * * * *

VASP calculation (PBE with a Hubbard U) on a geometry-optimized BaFeN2F structure.

Lattice parameters (Å, degrees): 3.9006 3.9006 4.6874 90.00 90.00 90.00
Space group P4/mmm (No. 123)
Asymmetric unit:
Ba (0.0000, 0.0000, 0.0000) [1 per cell]
Fe (0.5000, 0.5000, 0.5000) [1 per cell]
N (0.0000, 0.5000, 0.5000) [2 per cell]
F (0.5000, 0.5000, 0.0000) [1 per cell]

Values from the calculation:
Raw total energy (eV/cell): -29.28
M_tot (μB/f.u.): 4.7
Energy relative to the lowest polymorph listed for this composition (kJ/mol of formula units): 0
The lorry driver left the road after a 20min ride at the city border and stopped at a tyre/vulcanization workshop, obviously he had assumed i would need this service. I successfully made clear to the shop-owner that he couldn't help me but i was still happy with this solution, as the workshop provided a warm and calm place to fix the problem. It still took me a full hour to replace the wheel and remount it as there was so much sand and dirt in between close-fitting parts of the drivetrain and brakes and i had to remount it several times till it worked.
The next obstacle was to get through the traffic jam from my remote location at the city border to my host Jeff in the center of Şişly/Taksim in the dark night - however, i felt amazingly enabled and encouraged after my previous adventure and with the help of the N900 i got as a farewell present from my friends at metalab it was easy to find my way through eery Hochhausschluchten of the development areas, the chaotic and thick motor-traffic and across the hills of Istanbul into the heart of Şişly, where a warm shower and a heated, modern flat where waiting.